~~~
a | # C3H11NO

A 2-piece molecular cluster, C3H11NO overall (ωB97M-V/def2-TZVPD, the OMol25 dataset).

## Properties
SMILES string ... CCN.CO
Spin multiplicity ... 1
Frontier orbital gap ... 10.8 eV
Molecular weight ... 77.127 g/mol

The geometry in XYZ format:
```
16
Properties=species:S:1:pos:R:3:nbo_charge:R:1
C 1.01 0.84 -2.56 -0.6350
C -0.01 -0.28 -2.36 -0.2448
N -1.50 -0.30 -2.59 -0.7939
H 1.95 0.62 -2.07 0.2210
H 1.22 1.14 -3.59 0.2024
H 0.64 1.80 -2.16 0.2039
H 0.24 -1.20 -2.90 0.1871
H 0.14 -0.69 -1.35 0.1818
H -1.47 -0.07 -3.59 0.3367
H -1.94 0.53 -2.19 0.3408
C 0.28 -0.24 4.14 -0.2575
O -1.15 -0.47 4.01 -0.7141
H 0.49 0.07 5.17 0.1601
H 0.82 -1.16 3.94 0.1682
H 0.54 0.63 3.53 0.1869
H -1.27 -1.23 4.57 0.4566
```

b | # C3H11NO

A 2-piece molecular cluster, C3H11NO overall (ωB97M-V/def2-TZVPD, the OMol25 dataset).

## Properties
SMILES string ... CCNC.O
Spin multiplicity ... 1
Frontier orbital gap ... 9.5 eV
Molecular weight ... 77.127 g/mol

The geometry in XYZ format:
```
16
Properties=species:S:1:pos:R:3:nbo_charge:R:1
C 1.54 -0.73 1.47 -0.6097
C 1.54 0.27 0.13 -0.2037
N 1.17 -0.49 -1.00 -0.6320
C 0.41 0.16 -2.17 -0.4736
H 0.85 -1.52 1.31 0.1955
H 1.28 -0.05 2.33 0.2046
H 2.47 -1.17 1.80 0.2094
H 2.68 0.50 0.10 0.1852
H 0.94 1.10 0.28 0.1615
H 0.40 -1.09 -0.80 0.3376
H -0.51 0.67 -1.72 0.1943
H 0.90 1.15 -2.35 0.1900
H 0.65 -0.53 -2.98 0.2409
O -4.72 0.51 1.54 -0.9589
H -5.43 1.09 1.28 0.4773
H -4.17 0.15 0.78 0.4817
```

It is b that is the least stable of them.

a | # C3H11NO

A 2-piece molecular cluster, C3H11NO overall (ωB97M-V/def2-TZVPD, the OMol25 dataset).

## Properties
SMILES string ... CNC.CO
Spin multiplicity ... 1
Frontier orbital gap ... 10.3 eV
Molecular weight ... 77.127 g/mol

The geometry in XYZ format:
```
16
Properties=species:S:1:pos:R:3:nbo_charge:R:1
C -0.19 -0.77 -1.26 -0.4459
N -1.11 -0.22 -0.26 -0.6455
C -1.85 -1.29 0.40 -0.4133
H 0.08 0.09 -1.89 0.2177
H -0.68 -1.47 -1.95 0.1727
H 0.78 -1.16 -0.98 0.2072
H -1.78 0.44 -0.61 0.3709
H -1.18 -1.94 0.95 0.1948
H -2.60 -0.87 1.09 0.1984
H -2.47 -1.90 -0.26 0.1663
C 2.13 1.62 1.01 -0.2490
O 1.12 1.60 0.02 -0.7717
H 1.97 2.47 1.68 0.1694
H 3.07 1.86 0.50 0.1667
H 2.26 0.62 1.40 0.1684
H 0.45 0.91 0.14 0.4929
```

b | # C3H11NO

A 2-piece molecular cluster, C3H11NO overall (ωB97M-V/def2-TZVPD, the OMol25 dataset).

## Properties
SMILES string ... CCN.CO
Spin multiplicity ... 1
Frontier orbital gap ... 9.9 eV
Molecular weight ... 77.127 g/mol

The geometry in XYZ format:
```
16
Properties=species:S:1:pos:R:3:nbo_charge:R:1
C 0.68 2.12 0.37 -0.6372
C 0.58 1.01 -0.62 -0.2200
N 1.54 0.00 -0.11 -0.8243
H 0.27 3.05 -0.03 0.2083
H 1.74 2.48 0.52 0.2051
H 0.17 1.87 1.27 0.2039
H 0.97 1.30 -1.70 0.1803
H -0.43 0.60 -0.78 0.1956
H 2.53 0.25 -0.41 0.3512
H 1.49 0.14 0.88 0.3372
C -1.88 -1.97 0.19 -0.2430
O -0.85 -2.30 -0.64 -0.7173
H -2.66 -1.13 -0.05 0.1746
H -1.39 -1.41 0.96 0.1496
H -2.22 -2.85 0.60 0.1658
H -0.53 -3.17 -0.45 0.4703
```

It is b that is the least stable of them.

a | # C4H9FO

A 3-piece molecular cluster, C4H9FO overall (ωB97M-V/def2-TZVPD, the OMol25 dataset).

## Properties
Spin multiplicity ... 1
Frontier orbital gap (alpha / beta) ... 9.9 / 8.2 eV
Molecular weight ... 92.113 g/mol

The geometry in XYZ format:
```
15
Properties=species:S:1:pos:R:3:nbo_charge:R:1
C -0.08 -0.55 -1.59 -0.5917
C -0.14 0.17 0.81 -0.6250
C 0.17 3.91 0.75 0.4715
C 0.81 -0.11 -0.40 -0.4222
O -0.85 4.36 0.57 -0.1832
F -2.27 3.21 0.64 -0.5048
H -1.00 -1.09 -1.34 0.2050
H 0.46 -1.07 -2.25 0.1993
H -0.35 0.41 -2.12 0.1961
H -0.80 -0.73 0.87 0.2221
H -0.75 1.15 0.51 0.2184
H 0.25 0.39 1.76 0.2009
H 1.54 -0.94 -0.22 0.1916
H 0.61 2.98 1.08 0.2190
H 1.59 0.54 -0.85 0.2032
```

b | # C4H9FO

A 3-piece molecular cluster, C4H9FO overall (ωB97M-V/def2-TZVPD, the OMol25 dataset).

## Properties
Spin multiplicity ... 1
Frontier orbital gap (alpha / beta) ... 9.3 / 8.3 eV
Molecular weight ... 92.113 g/mol

The geometry in XYZ format:
```
15
~~~
The reader should type out everything further up with every line break kept.
a | # C3H11NO

A 2-piece molecular cluster, C3H11NO overall (ωB97M-V/def2-TZVPD, the OMol25 dataset).

## Properties
SMILES string ... CCN.CO
Spin multiplicity ... 1
Frontier orbital gap ... 10.8 eV
Molecular weight ... 77.127 g/mol

The geometry in XYZ format:
```
16
Properties=species:S:1:pos:R:3:nbo_charge:R:1
C 1.01 0.84 -2.56 -0.6350
C -0.01 -0.28 -2.36 -0.2448
N -1.50 -0.30 -2.59 -0.7939
H 1.95 0.62 -2.07 0.2210
H 1.22 1.14 -3.59 0.2024
H 0.64 1.80 -2.16 0.2039
H 0.24 -1.20 -2.90 0.1871
H 0.14 -0.69 -1.35 0.1818
H -1.47 -0.07 -3.59 0.3367
H -1.94 0.53 -2.19 0.3408
C 0.28 -0.24 4.14 -0.2575
O -1.15 -0.47 4.01 -0.7141
H 0.49 0.07 5.17 0.1601
H 0.82 -1.16 3.94 0.1682
H 0.54 0.63 3.53 0.1869
H -1.27 -1.23 4.57 0.4566
```

b | # C3H11NO

A 2-piece molecular cluster, C3H11NO overall (ωB97M-V/def2-TZVPD, the OMol25 dataset).

## Properties
SMILES string ... CCNC.O
Spin multiplicity ... 1
Frontier orbital gap ... 9.5 eV
Molecular weight ... 77.127 g/mol

The geometry in XYZ format:
```
16
Properties=species:S:1:pos:R:3:nbo_charge:R:1
C 1.54 -0.73 1.47 -0.6097
C 1.54 0.27 0.13 -0.2037
N 1.17 -0.49 -1.00 -0.6320
C 0.41 0.16 -2.17 -0.4736
H 0.85 -1.52 1.31 0.1955
H 1.28 -0.05 2.33 0.2046
H 2.47 -1.17 1.80 0.2094
H 2.68 0.50 0.10 0.1852
H 0.94 1.10 0.28 0.1615
H 0.40 -1.09 -0.80 0.3376
H -0.51 0.67 -1.72 0.1943
H 0.90 1.15 -2.35 0.1900
H 0.65 -0.53 -2.98 0.2409
O -4.72 0.51 1.54 -0.9589
H -5.43 1.09 1.28 0.4773
H -4.17 0.15 0.78 0.4817
```

It is b that is the least stable of them.

a | # C3H11NO

A 2-piece molecular cluster, C3H11NO overall (ωB97M-V/def2-TZVPD, the OMol25 dataset).

## Properties
SMILES string ... CNC.CO
Spin multiplicity ... 1
Frontier orbital gap ... 10.3 eV
Molecular weight ... 77.127 g/mol

The geometry in XYZ format:
```
16
Properties=species:S:1:pos:R:3:nbo_charge:R:1
C -0.19 -0.77 -1.26 -0.4459
N -1.11 -0.22 -0.26 -0.6455
C -1.85 -1.29 0.40 -0.4133
H 0.08 0.09 -1.89 0.2177
H -0.68 -1.47 -1.95 0.1727
H 0.78 -1.16 -0.98 0.2072
H -1.78 0.44 -0.61 0.3709
H -1.18 -1.94 0.95 0.1948
H -2.60 -0.87 1.09 0.1984
H -2.47 -1.90 -0.26 0.1663
C 2.13 1.62 1.01 -0.2490
O 1.12 1.60 0.02 -0.7717
H 1.97 2.47 1.68 0.1694
H 3.07 1.86 0.50 0.1667
H 2.26 0.62 1.40 0.1684
H 0.45 0.91 0.14 0.4929
```

b | # C3H11NO

A 2-piece molecular cluster, C3H11NO overall (ωB97M-V/def2-TZVPD, the OMol25 dataset).

## Properties
SMILES string ... CCN.CO
Spin multiplicity ... 1
Frontier orbital gap ... 9.9 eV
Molecular weight ... 77.127 g/mol

The geometry in XYZ format:
```
16
Properties=species:S:1:pos:R:3:nbo_charge:R:1
C 0.68 2.12 0.37 -0.6372
C 0.58 1.01 -0.62 -0.2200
N 1.54 0.00 -0.11 -0.8243
H 0.27 3.05 -0.03 0.2083
H 1.74 2.48 0.52 0.2051
H 0.17 1.87 1.27 0.2039
H 0.97 1.30 -1.70 0.1803
H -0.43 0.60 -0.78 0.1956
H 2.53 0.25 -0.41 0.3512
H 1.49 0.14 0.88 0.3372
C -1.88 -1.97 0.19 -0.2430
O -0.85 -2.30 -0.64 -0.7173
H -2.66 -1.13 -0.05 0.1746
H -1.39 -1.41 0.96 0.1496
H -2.22 -2.85 0.60 0.1658
H -0.53 -3.17 -0.45 0.4703
```

It is b that is the least stable of them.

a | # C4H9FO

A 3-piece molecular cluster, C4H9FO overall (ωB97M-V/def2-TZVPD, the OMol25 dataset).

## Properties
Spin multiplicity ... 1
Frontier orbital gap (alpha / beta) ... 9.9 / 8.2 eV
Molecular weight ... 92.113 g/mol

The geometry in XYZ format:
```
15
Properties=species:S:1:pos:R:3:nbo_charge:R:1
C -0.08 -0.55 -1.59 -0.5917
C -0.14 0.17 0.81 -0.6250
C 0.17 3.91 0.75 0.4715
C 0.81 -0.11 -0.40 -0.4222
O -0.85 4.36 0.57 -0.1832
F -2.27 3.21 0.64 -0.5048
H -1.00 -1.09 -1.34 0.2050
H 0.46 -1.07 -2.25 0.1993
H -0.35 0.41 -2.12 0.1961
H -0.80 -0.73 0.87 0.2221
H -0.75 1.15 0.51 0.2184
H 0.25 0.39 1.76 0.2009
H 1.54 -0.94 -0.22 0.1916
H 0.61 2.98 1.08 0.2190
H 1.59 0.54 -0.85 0.2032
```

b | # C4H9FO

A 3-piece molecular cluster, C4H9FO overall (ωB97M-V/def2-TZVPD, the OMol25 dataset).

## Properties
Spin multiplicity ... 1
Frontier orbital gap (alpha / beta) ... 9.3 / 8.3 eV
Molecular weight ... 92.113 g/mol

The geometry in XYZ format:
```
15